Brief:
Please set down the lines further below from the one with "1.29" to the one with "C23H44NP3PbSe, with" character by character.

File:
1.
Computed, not measured: a molecular structure, C4H9NO2, with the ωB97M-V functional and the def2-TZVPD basis.

Summary:
orbital gap = 8.8 eV
spin multiplicity = 1
relative energy (zero: lowest compared OMol25 entry of this formula, charge and spin) = 114.28 kcal/mol
E_HOMO = -8.78 eV
charge = 0
energy = -362.903416 a.u.

Each line ends with the Löwdin charge.
Positions of all 16 atoms, in Å:
C: -2.44 0.71 0.60  -0.03
C: -1.15 -0.03 0.78  -0.20
N: 0.08 0.52 0.71  0.07
C: 0.54 -0.81 -0.03  -0.68
O: 1.03 -1.68 0.67  0.02
O: 1.07 -0.37 -1.25  -0.11
C: 2.47 -0.14 -1.10  -0.07
H: -2.43 1.38 -0.26  0.09
H: -3.29 0.02 0.54  0.09
H: -2.56 1.32 1.51  0.10
H: -1.18 -0.92 1.41  0.14
H: -0.70 -1.07 -0.42  0.19
H: 0.10 1.31 0.06  0.12
H: 2.84 0.14 -2.09  0.09
H: 2.66 0.68 -0.39  0.09
H: 2.96 -1.04 -0.74  0.09


2.
Computed, not measured: C14H9N3O3S in the gas phase, with the ωB97M-V functional and the def2-TZVPD basis.

Summary:
orbital gap = 7.4 eV
spin multiplicity = 1
E_HOMO = -8.91 eV
charge = 0
energy = -1326.629007 a.u.
structure (SMILES) = O=NOc1c(CC(=O)c2ccccc2)ccc2nsnc12

Each line ends with the Löwdin charge.
Positions of all 30 atoms, in Å:
O: 3.95 -2.31 0.40  0.07
N: 4.31 -1.74 -0.59  0.01
O: 3.20 -1.27 -1.27  -0.09
C: 2.55 -0.23 -0.53  -0.11
C: 1.19 -0.55 0.16  -0.07
C: 0.58 -2.02 -0.03  -0.06
C: -0.66 -1.96 -1.08  -0.29
O: -0.68 -2.63 -2.15  0.05
C: -1.89 -1.01 -0.61  -0.12
C: -2.71 -1.57 0.61  -0.02
C: -3.87 -0.69 1.15  -0.07
C: -4.14 0.68 0.46  -0.08
C: -3.33 1.22 -0.75  -0.06
C: -2.16 0.35 -1.31  -0.02
C: 0.50 0.62 0.97  -0.01
C: 1.05 2.05 1.13  0.01
C: 2.42 2.39 0.42  -0.27
N: 3.14 3.64 0.40  -0.28
S: 4.56 3.34 -0.51  0.91
N: 4.39 1.69 -0.98  -0.26
C: 3.13 1.22 -0.40  -0.18
H: 1.35 -2.82 -0.29  0.12
H: 0.08 -2.29 0.98  0.13
H: -2.43 -2.59 1.06  0.11
H: -4.45 -1.07 2.06  0.09
H: -4.99 1.32 0.91  0.09
H: -3.56 2.26 -1.21  0.10
H: -1.52 0.71 -2.20  0.12
H: -0.50 0.39 1.49  0.10
H: 0.49 2.87 1.71  0.11


3.
Computed, not measured: 2 unconnected molecules or ions with the total composition C4H11N5O2, with the ωB97M-V functional and the def2-TZVPD basis.

Summary:
orbital gap = 9.7 eV
spin multiplicity = 1
relative energy (zero: lowest compared OMol25 entry of this formula, charge and spin) = 163.91 kcal/mol
E_HOMO = -8.91 eV
charge = 0
energy = -583.068125 a.u.
structure (SMILES) = CN/N=[N+](\[O-])O.C1=NCCN1

Each line ends with the Löwdin charge.
Positions of all 22 atoms, in Å:
C: -2.04 1.79 -0.24  -0.18
C: -1.86 0.24 -0.58  -0.13
C: -0.74 0.89 1.29  -0.28
C: 1.51 -1.83 -0.55  -0.11
N: -1.18 2.03 0.91  0.00
N: -1.21 -0.18 0.63  0.01
N: 2.17 -0.84 0.29  -0.11
N: 1.46 0.34 0.22  0.01
N: 2.11 1.30 -0.27  -0.39
O: 1.50 2.50 -0.13  0.06
O: 3.26 1.33 -0.65  0.05
H: -1.89 2.51 -1.03  0.10
H: -3.10 1.97 -0.08  0.10
H: -2.83 -0.05 -0.82  0.09
H: -1.15 0.19 -1.39  0.10
H: -0.05 0.84 2.13  0.14
H: 2.17 -2.78 -0.52  0.11
H: 0.55 -1.95 -0.01  0.05
H: 1.31 -1.40 -1.62  0.11
H: 0.57 2.50 0.28  0.10
H: -0.78 -1.05 0.72  0.07
H: 3.20 -0.69 0.19  0.12


4.
Computed, not measured: a molecular structure, C23H44NP3PbSe, with the ωB97M-V functional and the def2-TZVPD basis.

Summary:
orbital gap (spin up / spin down) = 3.5 / 3.5 eV
spin multiplicity = 1
relative energy (zero: lowest compared OMol25 entry of this formula, charge and spin) = 90.22 kcal/mol
E_HOMO (spin up / spin down) = -18.54 / -18.54 eV
charge = +4
energy = -4574.094861 a.u.

Each line ends with the Löwdin charge.
Positions of all 73 atoms, in Å:
Pb: -2.61 -2.42 -0.14  1.58
P: 0.80 -0.57 -2.56  0.78
P: 1.43 2.25 -0.88  0.95
P: -1.48 2.04 -1.75  0.89
H: -3.05 -4.79 2.10  0.14
C: -3.13 -4.31 1.08  -0.16
C: -2.21 -4.63 0.00  -0.16
H: -1.24 -5.12 0.15  0.12
C: 2.15 -1.80 -2.61  -0.27
C: 1.41 0.54 -3.89  -0.28
C: -0.42 -1.51 -3.56  -0.28
C: 1.45 3.08 0.76  -0.23
C: 3.18 1.66 -0.77  -0.20
C: 1.74 3.77 -1.87  -0.21
C: -2.92 0.90 -1.44  -0.27
C: -1.76 2.36 -3.55  -0.23
C: -2.24 3.62 -1.15  -0.23
H: -4.20 -4.14 0.83  0.10
H: -2.53 -4.64 -1.04  0.08
H: 1.83 -2.73 -2.13  0.04

Reply:
C: -0.74 0.89 1.29  -0.28
C: 1.51 -1.83 -0.55  -0.11
N: -1.18 2.03 0.91  0.00
N: -1.21 -0.18 0.63  0.01
N: 2.17 -0.84 0.29  -0.11
N: 1.46 0.34 0.22  0.01
N: 2.11 1.30 -0.27  -0.39
O: 1.50 2.50 -0.13  0.06
O: 3.26 1.33 -0.65  0.05
H: -1.89 2.51 -1.03  0.10
H: -3.10 1.97 -0.08  0.10
H: -2.83 -0.05 -0.82  0.09
H: -1.15 0.19 -1.39  0.10
H: -0.05 0.84 2.13  0.14
H: 2.17 -2.78 -0.52  0.11
H: 0.55 -1.95 -0.01  0.05
H: 1.31 -1.40 -1.62  0.11
H: 0.57 2.50 0.28  0.10
H: -0.78 -1.05 0.72  0.07
H: 3.20 -0.69 0.19  0.12


4.
Computed, not measured: a molecular structure, C23H44NP3PbSe, with the ωB97M-V functional and the def2-TZVPD basis.